Dear members and friends of ipernity,
1) Additional viewing size option.
When viewing group contributions, the 'Small' option displayed the 100px images. Everywhere else, the display used the cropped 75px squares.
Beside the existing icon for this option, now labeled 'Square', there is a new icon for the 100px option, labeled 'Small'. The view of group contributions gains the 'Square' option, which provides a larger overview of the content. The Explore->Gallery and Explore->Noteworthy displays continue to only provide the 'Medium' 240px images and the Lightbox.
For club members, the 240px image that pops up when you mouse-over a 75px square, is also provided for 100px thumbnails, meaning group contributions gain this feature.
2) Help us make groups more appealing and enjoyable for all.
Recently, group clean-up has been getting some much needed support from a few volunteers.
Question: But what can a member without much time do to help?
Answer: Look in your own backyard!
It's easy to find the list of groups one belongs to on your groups page.
1) Do you see any groups that have lots of images that don't match the group's theme?
2) Are there any that you've suggested a photo for but it's been over a week and nothing has happened?
3) Could the group icon or banner image be better?
Copy the url for such a group and send it to the moderator.
It should be noted that while the group clean-up task is large and ongoing (ongoing because we are not a stagnant website), progress is being made. When we began in earnest the clean up project a few years ago, we had 10,548 groups. We now have significantly less: 6,297. We don't have a previous count of groups that had been inactive for more than a year, but we can assume that number has decreased as well. This drop has been thanks to team and volunteer deletion efforts, but also due to the now required search for a similar topic when creating a new group. It's significant to note that only 35 new groups have been created so far this year.
The point is that this isn't a hopeless task and that things are getting better thanks to many individual member's efforts. Thank you to all who have worked towards the goal of making groups something to enjoy.
Your ima team.
Jaap van 't Veen said:
Miss an update of New Club members !!
raingirl replied to Jaap van 't Veen:
Daniela said:
ROL/Photo said:
Thank you for the news.
[The piece is interrupted by records of molecules]
┌──
# 1
# H10O4S2

A 5-piece molecular cluster, H10O4S2 overall in a non-equilibrium geometry (ωB97M-V/def2-TZVPD, the OMol25 dataset).

Each line ends with the Löwdin charge.
CARTESIAN COORDINATES (ANGSTROEM)
S  1.58  -0.94  -1.77  0.546
S  1.58  -1.29  0.13  0.560
H  0.93  -1.86  -2.44  -0.106
H  0.16  -1.11  0.35  -0.033
H  -1.58  0.58  -1.02  -0.087
H  -2.86  -0.31  -0.76  0.136
O  -2.39  0.60  -0.73  -0.010
H  -2.95  -0.04  1.61  0.055
H  -2.40  1.19  0.92  -0.007
O  -2.73  0.91  1.79  -0.084
H  0.80  0.16  2.96  0.070
H  -0.73  0.51  2.90  -0.008
O  -0.13  -0.21  2.94  -0.074
H  -0.37  3.17  -1.72  0.125
H  0.83  2.30  -1.09  -0.009
O  -0.05  2.59  -0.92  -0.073

Values from the calculation:
Max |F| in eV/Å: 8.26
ΔE to the lowest compared entry with this formula, charge and spin in kJ/mol: 106.0
Multiplicity: 2
HOMO-LUMO gap (spin up / spin down) in eV: 8.592 / 4.196
Total charge: +1
Energy in a.u.: -1102.9262
Highest occupied orbital energy (spin up / spin down) in eV: -13.74 / -13.74


# 2
# C20H30N2O5

One molecule with the formula C20H30N2O5 (ωB97M-V/def2-TZVPD, the OMol25 dataset).

Each line ends with the Löwdin charge.
CARTESIAN COORDINATES (ANGSTROEM)
C  0.72  4.66  -2.73  -0.080
H  1.69  5.03  -3.04  0.095
O  0.92  3.30  -2.42  -0.059
C  -0.15  2.57  -2.01  -0.192
C  -1.44  3.05  -1.84  -0.007
C  -2.46  2.23  -1.40  -0.037
C  -2.20  0.89  -1.13  -0.148
C  -0.91  0.39  -1.32  0.049
C  0.12  1.20  -1.74  -0.166
O  1.41  0.82  -1.95  0.011
C  1.80  -0.51  -1.69  -0.326
C  1.99  -0.77  -0.19  -0.092
H  1.04  -0.66  0.34  0.108
H  2.69  -0.03  0.20  0.134
C  2.54  -2.18  0.02  -0.142
N  3.79  -2.34  -0.69  -0.069
C  5.02  -2.47  -0.14  -0.501
O  6.02  -2.50  -0.83  0.047
C  5.10  -2.59  1.37  0.002
H  6.15  -2.71  1.64  0.084
H  4.54  -3.46  1.71  0.083
H  4.71  -1.69  1.85  0.082
C  3.66  -2.14  -2.11  -0.130
C  3.13  -0.74  -2.41  -0.090
H  2.99  -0.61  -3.49  0.126
H  3.84  0.01  -2.07  0.133
H  4.64  -2.28  -2.56  0.122
H  2.97  -2.89  -2.52  0.132
H  2.68  -2.37  1.09  0.111
H  1.82  -2.91  -0.37  0.134
H  1.05  -1.21  -2.10  0.156
H  -0.76  -0.66  -1.13  0.116
C  -3.22  -0.07  -0.63  -0.464
O  -3.16  -1.27  -0.83  0.070
N  -4.23  0.50  0.09  0.071
H  -4.09  1.43  0.44  0.128
C  -5.12  -0.32  0.88  -0.138
C  -4.37  -0.90  2.10  -0.188
O  -3.59  0.11  2.71  -0.132
C  -2.18  -0.08  2.68  -0.458
C  -1.53  1.30  2.71  -0.032
H  -0.45  1.20  2.75  0.079
H  -1.79  1.86  1.81  0.067
H  -1.88  1.85  3.58  0.084
C  -1.73  -0.93  3.86  -0.038
H  -0.65  -1.08  3.83  0.077
H  -2.22  -1.90  3.84  0.076
H  -1.99  -0.44  4.79  0.084
H  -1.90  -0.59  1.74  0.131
H  -5.10  -1.27  2.84  0.123
H  -3.74  -1.73  1.77  0.119
H  -5.96  0.30  1.20  0.121
H  -5.48  -1.15  0.26  0.124
H  -3.45  2.63  -1.29  0.113
H  -1.66  4.09  -2.05  0.105
H  0.00  4.79  -3.55  0.098
H  0.38  5.23  -1.86  0.097
└──
[Back to the piece]
It is necessary to make groups have something pleasant and attractive
Kind regards to all
StoneRoad2013 said:
Gary Schotel said:
Heidiho said:
ich bin jetzt doch ein wenig verärgert !
Über die Club News (Oktober 2024, Pkt 1 ebenda ... habe ich erstmals Kenntnis bekommen, dass es eine Gruppe "Happy Chairy Saturday" als sogenannte " Wochentagsgruppe" gibt. Nun schmückt Ihr auch DIESEN Beitrag hier wieder mit einem entsprechenden Stühle-Bild.
Tatsächlich handelt es sich um eine (fast) "tote" Gruppe, die keinerlei Breitenwirkung entwickelt hat (wie z.B. HFF, HBM, HWW). Lediglich 11 Mitglieder, seit Wochen keine
Sonnabend-Beiträge, ... das kann der Sinn einer "Wochentags-Gruppe" wohl nicht sein.
Ich denke, Jedem/Jeder der/die hier eine neue Gruppe ins Leben ruft, sollte klar sein, dass man damit eine Verpflichtung gegenüber unserer Gemeinschaft eingeht. Gruppe gründen und sich dann nicht kümmern, ist das selbe, wie Bäume pflanzen und nicht wässern. Die gehen ein. Genau wie Gruppen, die ohne Leben bleiben. Die können dann nämlich wieder weg ...
Team replied to Heidiho:
In terms of groups having a place on ipernity or not , not every group will have the impact or broad appeal that HFF etc have. But that doesn't mean such groups don't necessarily have a place on ipernity. There are many factors to be taken into consideration before deleting a group. Because we give members a lot of freedom (a good thing) in creating and running groups, the way things look aren't always to our personal preferences.
The basic goal for groups at this point is to have them be varied, visually interesting, and on topic for our members and outside visitors. We have already put in place a requirement to search for duplicate subjects for groups, before being able to create a new group.
As to how often and when an administrator monitors their groups, we can wish for a certain level of administrative attention to their groups, but what we can actually do about it, and are doing about it, is evaluate groups that are brought to our attention and then replace administrators or delete groups as needed.
That said, we can certainly attempt to make the desire for how groups should be cared for known. You mention that everyone who starts a new group should be aware that they are making a commitment to our community. We could consider placing an additional message on the create a new group page. What wording would you suggest?
Note that we already point people to our Group Guidelines when they are creating a new group and that those guidelines are being reconsidered (see group Group Guidlines). Perhaps you would like to join that group and help revise those guidelines.
If you feel a group isn't getting enough attention, as noted in a prior Club News, we would be happy to help groups that don't see many contributions get some recognition through a mention in the Club News. This has already helped one group. Feel free to suggest such a group to the team through an ipermail to moderator.
Typo93 said:
*ઇଓ* replied to Typo93:
However, if administrators/moderators reserve the right to review posts, they are subject to discrimination by some members who don't like that.
Jaap van 't Veen replied to Typo93:
Typo93 replied to :
I sometimes wait a week before refusing, so they don't have to think about it any more. :-)))
Heidiho replied to :
Eric Desjours replied to :
Eric Desjours said:
More seriously, I'd like to thank the Team and the volunteers who have taken on this colossal task of cleaning up the groups, which is salutary but never finished, as you point out.
I'm doing my best to try and help in this area, which I'm not so familiar with.
Since subjectivity remains prevalent - and necessary - in this area, there will always be disagreements about the choices made. That's the normal friction inherent in any social relationship...
Happy November to you!